In the world of today, as in the world of every yesterday, confusion is rampant. It is not surprising that there is so little understanding of the concept of TRUTH. Simply, TRUTH is the idea that there exists such a thing as Absolutes. The problem this concept presents for the average human being is twofold.

Between two parts of the text: crystal structures:
********
No. 1
Starting from a DFT-relaxed cell (GGA-PBE, Alexandria), the X-ray diffraction stick pattern of Nb3V3Si2 was computed for Cu Kα (λ = 1.5418 Å).

Crystal structure
a b c (Å): 6.9783 6.9783 8.5556
angles (deg): 90.00 90.00 120.00
Space group R32 (No. 155, hexagonal axes)
Inequivalent atoms, fractional coordinates:
Nb1 0.0000 0.2512 0.0000
V1 0.0000 0.7512 0.5000
Si1 0.0000 0.0000 0.2540

Principal peaks in the range 10° ≤ 2θ ≤ 80°, most intense first:
(1 1 3), 2.207 Å, I = 100; (1 2 2), 2.015 Å, I = 39; (1 1 0), 3.490 Å, I = 25; (3 2 1), 1.369 Å, I = 20; (2 3 2), 1.319 Å, I = 19; (2 0 2), 2.468 Å, I = 17; (0 0 6), 1.425 Å, I = 13; (4 0 4), 1.234 Å, I = 10; (0 0 3), 2.851 Å, I = 5; (2 1 4), 1.561 Å, I = 5


No. 2
Starting from a DFT-relaxed cell (GGA-PBE, Alexandria), the X-ray diffraction stick pattern of NbVSi4 was computed for Cu Kα (λ = 1.5418 Å).

Crystal structure
a b c (Å): 4.687 13.001 4.706
angles (deg): 90.00 119.64 90.00
Space group P2 (No. 3)
Inequivalent atoms, fractional coordinates:
Nb1 0.000 0.000 0.000
Nb2 0.000 0.496 0.000
Nb3 0.500 0.664 0.000
V1 0.000 0.330 0.500
V2 0.000 0.833 0.500
V3 0.500 0.164 0.000
Si1 0.176 0.668 0.343
Si2 0.179 0.168 0.346
Si3 0.335 0.493 0.656
Si4 0.336 0.999 0.663
Si5 0.343 0.833 0.184
Si6 0.344 0.327 0.176

Principal peaks in the range 10° ≤ 2θ ≤ 80°, most intense first:
(1 2 1), 2.219 Å, I = 100; (0 6 0), 2.167 Å, I = 93; (1 2 -2), 2.212 Å, I = 91; (2 2 -1), 2.205 Å, I = 80; (1 2 0), 3.456 Å, I = 77; (1 4 1), 1.910 Å, I = 59; (1 4 -2), 1.906 Å, I = 56; (2 4 -1), 1.901 Å, I = 52; (1 2 -1), 3.443 Å, I = 48; (1 8 1), 1.338 Å, I = 36


No. 3
Starting from a DFT-relaxed cell (GGA-PBE, Alexandria), the X-ray diffraction stick pattern of SmNbZn was computed for Cu Kα (λ = 1.5418 Å).

Crystal structure
a b c (Å): 4.379 4.394 13.161
angles (deg): 90.00 90.00 90.00
Space group Cmmm (No. 65)
Inequivalent atoms, fractional coordinates:
Sm1 0.000 0.000 0.176
Nb1 0.000 0.500 0.364
Zn1 0.000 0.000 0.500
Zn2 0.000 0.500 0.000

Principal peaks in the range 10° ≤ 2θ ≤ 80°, most intense first:
(1 1 3), 2.533 Å, I = 100; (0 2 0), 2.196 Å, I = 30; (2 2 0), 1.551 Å, I = 20; (2 0 0), 2.190 Å, I = 18; (1 3 3), 1.324 Å, I = 17; (3 1 3), 1.321 Å, I = 12; (1 1 2), 2.806 Å, I = 9; (1 1 8), 1.453 Å, I = 8; (2 2 6), 1.266 Å, I = 8; (2 0 6), 1.550 Å, I = 8


No. 4
Starting from a DFT-relaxed cell (GGA-PBE, Alexandria), the X-ray diffraction stick pattern of Nb5Sn2 was computed for Cu Kα (λ = 1.5418 Å).

Crystal structure
a b c (Å): 9.987 3.576 7.552
angles (deg): 90.00 94.65 90.00
Space group C2/m (No. 12)
Inequivalent atoms, fractional coordinates:
Nb1 0.000 0.000 0.000
Nb2 0.145 0.000 0.426
Nb3 0.199 0.500 0.139
Sn1 0.081 0.500 0.722

Principal peaks in the range 10° ≤ 2θ ≤ 80°, most intense first:
********

First, there appear to be no Absolutes in nature or physics. Second, since each individual human being considers himself to be extremely intelligent, but is unable to conceive of Absolutes, he concludes that they do not exist. This is a classic example of erroneous logic based on a false premise.

People who have been set up as authorities complicate matters by posing theories which do not actually answer the question. (For if they did answer the questions, they would be "laws" instead of "theories.") Many who do not understand these theories, but do not wish to appear unintelligent, pretend to understand them, and repeat the words and phrases which they have been taught. So, while they do not understand what they are saying, the repeaters of theories will argue for eternity that there can be no Absolute because "everything is relative," because what is "true" for them might not be "true" for you, or whatever happens to be fashionable to say.

# Inserted here: calculated crystals
<<<
Entry 1:
For Y5P, a structure optimized by DFT (PBE) gives the theoretical PXRD pattern in this record (Cu Kα, 1.54184 Å).
Intensities are scaled so that the largest is 100.

Most intense lines, 15° ≤ 2θ ≤ 90°, sorted by position:
d/Å  two_theta  intensity  (hkl)
3.301  27.01  62.7  1 1 -1
3.076  29.03  89.9  2 0 2
2.908  30.74  75.8  4 0 -1
2.753  32.52  100.0  1 1 -2
2.691  33.29  66.3  2 0 -3
2.662  33.67  85.1  3 1 0
2.437  36.88  45.0  3 1 1
1.843  49.46  27.1  0 2 0
1.736  52.74  28.1  5 1 -3
1.530  60.50  26.7  7 1 -1

Crystal structure
Cell: 11.776 3.685 8.392 Å, 90.00 101.37 90.00°
Fractional coordinates of all 12 atoms:
Y  0.000  0.000  0.000
Y  0.074  0.000  0.425
Y  0.173  0.500  0.774
Y  0.272  0.500  0.220
Y  0.376  0.000  0.625
Y  0.500  0.500  0.000
Y  0.574  0.500  0.425
Y  0.673  0.000  0.774
Y  0.772  0.000  0.220
Y  0.876  0.500  0.625
P  0.315  0.000  0.967
P  0.815  0.500  0.967

***

Entry 2:
For Y2P, a structure optimized by DFT (PBE) gives the theoretical PXRD pattern in this record (Cu Kα, 1.54184 Å).
Intensities are scaled so that the largest is 100.

Most intense lines, 15° ≤ 2θ ≤ 90°, sorted by position:
d/Å  two_theta  intensity  (hkl)
3.189  27.98  75.4  0 1 2
3.112  28.69  23.5  0 0 6
2.745  32.63  100.0  1 0 4
1.959  46.35  36.2  1 1 0
1.923  47.27  34.0  0 1 8
1.658  55.42  21.6  1 1 6
1.595  57.82  18.3  0 2 4
1.237  77.13  15.4  2 1 4
1.218  78.50  14.5  1 1 12
1.124  86.61  11.5  1 2 8

Crystal structure
Cell: 3.918 3.918 18.672 Å, 90.00 90.00 120.00°
Fractional coordinates of all 9 atoms:
Y  0.000  0.000  0.249
Y  0.000  0.000  0.751
Y  0.333  0.667  0.418
Y  0.333  0.667  0.915
Y  0.667  0.333  0.085
Y  0.667  0.333  0.582
P  0.000  0.000  0.000
P  0.333  0.667  0.667
P  0.667  0.333  0.333

***

Entry 3:
For YP5, a structure optimized by DFT (PBE) gives the theoretical PXRD pattern in this record (Cu Kα, 1.54184 Å).
Intensities are scaled so that the largest is 100.

Most intense lines, 15° ≤ 2θ ≤ 90°, sorted by position:
d/Å  two_theta  intensity  (hkl)
3.686  24.14  48.2  1 1 -1
3.380  26.37  90.8  1 2 0
3.236  27.56  40.6  1 0 1
3.057  29.21  100.0  1 2 -1
2.697  33.21  28.7  0 3 1
2.638  33.98  35.4  1 3 0
2.542  35.31  30.0  1 0 -2
2.527  35.52  44.3  0 1 2
2.153  41.95  42.4  2 2 0
1.977  45.91  30.1  1 3 -2

Crystal structure
Cell: 4.957 9.435 5.366 Å, 90.00 102.15 90.00°
Fractional coordinates of all 12 atoms:
Y  0.004  0.250  0.346
Y  0.996  0.750  0.654
P  0.276  0.250  0.892
P  0.286  0.528  0.405
P  0.286  0.972  0.405
P  0.384  0.593  0.045
P  0.384  0.907  0.045
P  0.616  0.093  0.955
P  0.616  0.407  0.955
P  0.714  0.028  0.595
P  0.714  0.472  0.595
P  0.724  0.750  0.108


(1)
The following is a computed powder diffractogram of TbPm2Tm12. It was derived from the GGA-PBE geometry in Alexandria, using λ = 1.5418 Å (Cu Kα).

Structural model:
```
30
Lattice="3.541 -5.547 0.000 3.541 5.547 0.000 -1.783 0.000 23.819" Properties=species:S:1:pos:R:3 pbc="T T T"
Tb 1.769 0.000 0.001
>>>

Beliefs are conceptions. Sensory data are perceptions. What they both have in common is thinking. Concepts, or beliefs, which do not agree with reality are unTRUTH. Perceptions are reality, relative to the perceiver, as the color-blind motorist will quickly discover upon running red lights, regardless of what color he chooses to call them. Frequently concepts tend to color perceptions; however, if the concepts are unTRUTH, it follows that the perceptions which are colored by them are also unTRUTH.

Suppose it is your belief that it is your "right," or that it is not wrong, for you to enjoy a great deal of pleasure and comfort. Suppose it is pointed out to you that your pursuit of comfort and pleasure is causing others to starve to death. You may not logically maintain that what is TRUE for them might not be "true" for you. Because the TRUTH is that people are starving to death as a direct result of your pursuit of pleasure. And it is an Absolute TRUTH that no one likes to starve to death. To cite as a contradictory example one who has starved himself for a politial or religious belief does not nullify this statement, because such a person did not perform this action because of a wish to die, but in a desire to better life.

Reality, in which we are all fated to search for TRUTH, is purely a matter of the perception of the senses and the perceptions of the mind. It is self-evident that the senses are relative. One sees better than another, while the other hears better than the first. However, it cannot be argued that because one can see a mad elephant at twice the distance of another that the farsightedness of the one somehow changes the Absolute nature of the elephant. When the elephant draws close enough, both will see Absolutely the same elephant.

Perhaps a color-blind observer will see a pink elephant, while a normal observer will see a grey elephant. Is there an elephantologist who will insist that this discrepancy is due to a pigmentation change common to elephants, rather than a difference in the perception of the observers? Should the observers be "philosophically" minded, and wish to dispute whether the elephant is "truly" grey or pink, perhaps they would be well advised to recall that the Absolute nature of mad elephants is to charge anything which attracts their attention ... regardless of color.